Winter Hours: Open 9am-4pm on January 18, February 15 – 17
Closed January 19 and 20 due to winter weather

Furnishing a Bedchamber: Wallpaper & Textiles

During our interpretive period of the Madisons’ retirement era, John Payne Todd, Dolley Madison’s son from her first marriage, maintained a bedchamber at Montpelier. Previously referred to as “the small bedchamber,” this space has now been furnished and interpreted as Payne’s bedroom and has been opened to visitors since January 2018.

With a wealth of research provided by former Director of Museum Programs, Meg Kennedy, former curator Teresa Teixeira utilized a range of source material to assist her in devising his bedchamber. Furnishing a Bedchamber: Wallpaper & Textiles delves into the research and physical evidence gathered to accurately interpret the space.

To read how furniture, objects, and props were chosen for John Payne Todd’s room, visit our Project Page, Furnishing the room of John Payne Todd.

The French Influence

In 2007, Dr. Susan Buck, a conservator specializing in painted surfaces and architectural materials, investigated the small bedchamber at Montpelier. There she uncovered tiny fragments of wallpaper on the surbase reveals of the sides of the room’s mantel pilasters. The paper was painted directly with a thin matte blue-green paint (preserved by layers of modern white paint). Microscopy analysis confirmed that the paper was rag-based with flax fibers and the paint contained Prussian blue pigment, consistent with early nineteenth century papers. The fragment size was insufficient to determine if the paper was painted a solid color or patterned, or if it was imported. The context of the fragment and the accumulation of later paints on top of it suggest it may be a Madison-era paper (and may relate to a blue-green fragment found in a rodents’ nest in the partition between the small bedchamber and the neighboring large bedchamber). Because of the significance of the discovery, the walls in this room were left bare for future papering.[1]

The wallpaper we have chosen for this room is reproduced from a pattern that was produced in France but used in America. After the Revolution, American consumers favored French designs over English, a trend which holds particularly true for the Madisons who purchased a large number of goods from friends in France.[2] While we do not know whether the wallpaper originally in this room was manufactured in France, choosing a French design ties into Payne Todd’s time in France as well as contemporary comments of Payne’s manners and worldliness. (He easily conversed in French with the Baron de Montlezun.)

A sectional close up of the Bees & Stars wallpaper in Dolley Madison’s son’s room, John Payne Todd.

Bees and Stars is an example of a harlequin pattern that creates a bold, geometric look using an inverse white with black design. The pattern dates from the early 19th century when such geometric styles were very popular in France.[3]

Additionally, bees were used as a symbol of Napoleon and six-pointed stars as a symbol of his empire. The Madisons had several figures and images of Napoleon on display throughout the House, presumably largely purchased by Payne Todd while in Europe. The figures included Napoleon crossing the Alps (after the famous David portrait) in alabaster,[4] Napoleon in exile at Alba along with a figure of Icarus,[5] a copy of Houdon’s bust of Napoleon,[6] a small bronze figure,[7] and a bronze figure of Louis XVIII with Napoleon inside.[8]

-- Unrelated to this entry: calculated molecules --
'''
{"formula": "C12H24AsF6O6W", "method": "ωB97M-V/def2-TZVPD", "charge": 4, "multiplicity": 4, "homo_lumo_gap_ev": [8.53, 10.02], "e_above_lowest_kj_mol": 0.00, "lumo_energy_ev": [-13.82, -14.73], "e_tot_ev": -104040.94230, "homo_ev": [-22.34, -24.75], "species": ["W", "C", "C", "O", "C", "C", "O", "C", "C", "O", "C", "C", "O", "C", "C", "O", "C", "C", "O", "H", "H", "H", "H", "H", "H", "H", "H", "H", "H", "H", "H", "H", "H", "H", "H", "H", "H", "H", "H", "H", "H", "H", "H", "F", "As", "F", "F", "F", "F", "F"], "positions_angstrom": [[0.1549, 0.2074, 0.0749], [1.1826, 1.4698, -2.6060], [0.0998, 2.3237, -2.0020], [0.2214, 2.1639, -0.5282], [1.0385, 3.1491, 0.2315], [2.1653, 2.3555, 0.8440], [1.5677, 1.1330, 1.4140], [1.0962, 1.3544, 2.8030], [-0.0071, 0.3753, 3.0565], [-0.9094, 0.4782, 1.8897], [-2.1758, -0.2411, 2.0500], [-1.9797, -1.6363, 1.5215], [-0.7690, -1.7570, 0.8706], [-0.0032, -3.0048, 0.9169], [1.0592, -2.7880, -0.1184], [1.5675, -1.4075, 0.0893], [2.7628, -1.1233, -0.7307], [2.2681, -0.7157, -2.0931], [1.1647, 0.2220, -1.8251], [2.1769, 1.9089, -2.5123], [0.9759, 1.2445, -3.6529], [-0.9043, 1.9847, -2.2423], [0.1978, 3.3783, -2.2539], [0.3627, 3.6067, 0.9513], [1.3993, 3.9093, -0.4599], [2.6834, 2.9063, 1.6295], [2.8979, 2.0238, 0.1105], [0.7414, 2.3815, 2.8801], [1.9378, 1.1957, 3.4774], [-0.5570, 0.6457, 3.9584], [0.3496, -0.6537, 3.1341], [-2.9306, 0.3365, 1.5168], [-2.4422, -0.2405, 3.1099], [-3.1940, -1.8064, 0.2831], [-2.3311, -2.5234, 2.0450], [-0.6473, -3.8470, 0.6564], [0.3908, -3.1183, 1.9288], [0.6579, -2.8615, -1.1301], [1.8990, -3.4696, 0.0104], [3.4012, -2.0059, -0.7558], [3.2903, -0.3270, -0.2092], [1.8665, -1.5318, -2.6913], [3.0483, -0.2076, -2.6604], [-1.5516, 0.0723, -0.7878], [-4.0702, -0.8104, -2.2140], [-4.3184, 0.2702, -0.9708], [-3.8201, -1.9944, -0.4687], [-5.5066, -1.5029, -2.5567], [-2.8837, -1.8797, -2.6813], [-3.6236, 0.3570, -3.3028]], "atomic_forces_ev_per_a": [[-0.38, -0.66, 0.35], [0.01, -0.04, -0.02], [-0.01, 0.06, 0.06], [0.02, 0.09, -0.01], [-0.03, -0.02, -0.08], [0.03, -0.02, 0.05], [0.08, 0.12, -0.06], [0.07, 0.01, -0.04], [0.02, 0.00, 0.08], [-0.09, 0.16, 0.10], [0.09, 0.09, 0.05], [0.59, -0.04, 0.16], [-0.30, 0.27, -0.11], [0.05, -0.16, 0.14], [0.01, 0.08, -0.03], [0.11, 0.04, 0.03], [0.03, -0.03, -0.02], [-0.03, 0.08, -0.02], [0.00, 0.02, -0.07], [0.00, 0.02, 0.01], [0.01, -0.02, 0.01], [0.00, -0.02, -0.01], [0.00, 0.00, 0.01], [0.01, 0.00, 0.01], [0.00, 0.02, 0.02], [0.01, -0.01, 0.00], [-0.01, 0.00, -0.01], [-0.01, 0.00, 0.00], [0.00, 0.00, -0.01], [-0.02, 0.01, -0.02], [-0.03, -0.02, -0.02], [0.00, 0.04, -0.05], [-0.04, -0.06, -0.03], [-0.52, -0.12, -0.61], [-0.02, -0.03, 0.02], [0.04, 0.02, 0.02], [-0.01, -0.01, -0.07], [0.04, 0.00, -0.01], [-0.03, -0.03, 0.03], [-0.02, -0.01, 0.02], [-0.01, 0.01, 0.00], [0.01, -0.01, 0.01], [-0.01, -0.01, -0.01], [0.26, 0.16, -0.13], [0.00, 0.34, -0.30], [0.14, -0.12, -0.02], [0.15, -0.24, 0.36], [0.06, 0.01, 0.05], [-0.01, 0.12, 0.35], [-0.27, -0.07, -0.15]]}
'''
-- The calculated molecules stop here --

The Curatorial & Collections Department worked with Adelphi Paper Hangings who create handmade, historic and custom wallpapers, including the Bees and Stars pattern.

Found Fragments

The reproduction bedhangings created for this room are based on physical evidence found in a rat’s nest within the room’s wall. The silk fragment, seen below, has a plain weave with golden-colored warps and red wefts. Taffetas that are woven in the manner are today called “shot silks” and were called “changeable silks” during the period. Because of the two colors and the even weave, the fabric appears to change colors as it drapes and as light changes. The technique was very popular for clothing throughout the eighteenth century and upholstery to a lesser extent through the nineteenth century. Green was chosen for a lining color based on comparable documentation and extant samples from other collections.

Early 19th-century bedhanging design by Thomas Sheraton (L) and reproduction bedhangings in Payne Todd’s room (R). 

Like the bedhangings, a sample of woven grass carpeting, seen below, was found during the 2008 restoration. The floorboards in the small bedchamber closest to the passage were compromised by the addition of a stair partition in ca. 1865, and restoration-era boards were installed. However, the remaining ca. 1797 floorboards have some pre-1860s evidence of tacking/stapling at 36 intervals, which may date to the Carson era of ownership. The tacking evidence, the woven grass fragment and the popularity of grass matting in the 18th century led to the decision to include a grass mat on the bedchamber floor.

Grass matting fragment found in the room’s wall (L) and a silk fragment found in a rat’s nest in the wall during the 2008 restoration (R). 

The grass carpeting, or grass matting as it was also called, found in the wall is one of the largest extant pieces known from this period. Unlike today’s grass carpeting, the grass matting of the eighteenth and early nineteenth centuries was made of the whole straw rather than the retted fibers. Grass matting gained popularity throughout the eighteenth century both because of its exoticism and its coolness in summer. It was often taken up during the winter and replaced with a textile carpet.

Detail of the grass matting fragment found (L) and detail of the reproduction grass matting now installed in the room (R). 

The grass carpet we have installed is not an exact replica of the fragment found in the wall for practical reasons: other museums who have installed exact replicas of period grass matting have found it does not stand up to visitor traffic. Thus, ours is noticeably thicker than the period matting in order to allow guests into the space. Additionally, both the straw and fiber portions of the plant have been twisted together for strength and durability, and we have chosen a more durable weave structure. However, the grass carpeting does utilize the same material and offers the same appearance as known, period mats

[1] Dr. Susan Buck, “Cross-section Paint Microscopy Report: James Madison’s Montpelier Interior Paint Study,” July 2007. See Section 26, M-200, pp. 365-375. Memo from Susan Buck to Gardiner Hallock, April 18, 2008, RE: Two wallpaper questions prior to RAC meeting.

[2] Francoise Teynac, Pierre Nolot, and Jean-Denis Vivien, Wallpaper a history (NewYork: Rizzoli International Publications, Inc, 1982), 125.

[3] “Bees and Stars.” Adelphi Custom and Historic Wallpaper and Paper Hangings, 2015,

[4] Edward Caffarena to James Madison, July 25, 1816, James Madison Papers, Library of Congress, Washington, DC. MRD-S 16238.

[5] The inclusion of Icarus has a double meaning: it ties Napoleon to the hubris of the mythological character, and Icarus was the name of the ship that carried him into exile. John H. B. Latrobe to Charles Carroll Harper, August 3, 1832, box 4, John H. B. Latrobe Family Papers, MS 523, Maryland Historical Society, Baltimore, Maryland. MRD-S 123.

[6] List of items bought at Toddsberth sale, E. Rowe [Elhanon Row], November 11, 1852, box Causten Family: A through Causten, James—Notebook, folder Causten, James H. Jr.—Financial documents (accounts, bills, receipts), Dolley Madison Collection, MS 47, Greensboro Historical Museum, Greensboro, North Carolina. MRD-S 32274.

[7] Mary Carvallo Causten Kunkel, Manuscript notes created in preparation for the 1899 Kunkel Sale, ca. 1899 (with later notes in unknown hand), box Madison/Causten/Kunkel: Estate Related Papers, folder Catalogs—Mss.—Madison Estate (Keyed to 1899 catalog), Dolley Madison Collection, MS 47, Greensboro Historical Museum, Greensboro, North Carolina. MRD-S 23381.

[8] John H. B. Latrobe to Charles Carroll Harper, August 3, 1832, box 4, John H. B. Latrobe Family Papers, MS 523, Maryland Historical Society, Baltimore, Maryland. MRD-S 123.